The stereotype of the "vanishing Indian" is a common one in Canadian and American pop culture. According to the stereotype, the vanishing Indian is good-hearted and in tune with nature, but ultimately doomed to disappear and be replaced by European settlers and civilization. The work of Canadian poet Duncan Campbell Scott contains some of the most infamous examples. Many of Scott’s poems centre around the collapse and death both of Indigenous cultures and of the peoples themselves, who suffer everything from mutilation to murder under Scott’s pen.
**Here the text breaks off for materials data**
____________
1.
This entry pairs a crystal structure of Pr2Sm5Sc2 with its calculated X-ray powder pattern. Radiation: CuKα. Structure: a DFT-relaxed cell (PBE, Alexandria).
Lines closer than 0.1° are merged.

Largest 6 diffraction maxima, most intense first, 2θ = 5–70°:
2.911 Å, 2θ = 30.72°, rel. 100.0
2.518 Å, 2θ = 35.65°, rel. 33.5
1.519 Å, 2θ = 61.00°, rel. 27.7
1.784 Å, 2θ = 51.20°, rel. 17.8
1.781 Å, 2θ = 51.30°, rel. 17.6
2.526 Å, 2θ = 35.54°, rel. 16.9

Cell and atoms:
Unit cell a=7.962 b=7.962 c=7.990 alpha=107.52 beta=107.52 gamma=36.88
Atoms (fractional coordinates):
Pr  0.108  0.108  0.164
Pr  0.892  0.892  0.836
Sm  0.000  0.000  0.500
Sm  0.220  0.220  0.835
Sm  0.335  0.335  0.497
Sm  0.665  0.665  0.503
Sm  0.780  0.780  0.165
Sc  0.444  0.444  0.162
Sc  0.556  0.556  0.838

***

2.
This entry pairs a crystal structure of Cs15KO6 with its calculated X-ray powder pattern. Radiation: CuKα. Structure: a DFT-relaxed cell (PBE, Alexandria).
Lines closer than 0.1° are merged.

Largest 6 diffraction maxima, most intense first, 2θ = 5–70°:
3.724 Å, 2θ = 23.89°, rel. 100.0
3.225 Å, 2θ = 27.66°, rel. 60.5
2.281 Å, 2θ = 39.51°, rel. 32.3
1.945 Å, 2θ = 46.70°, rel. 22.1
5.267 Å, 2θ = 16.83°, rel. 21.7
2.530 Å, 2θ = 35.48°, rel. 18.6

Cell and atoms:
Unit cell a=11.172 b=11.172 c=11.172 alpha=109.47 beta=109.47 gamma=109.47
Atoms (fractional coordinates):
Cs  0.000  0.218  0.782
Cs  0.000  0.500  0.500
Cs  0.000  0.782  0.218
Cs  0.218  0.000  0.782
Cs  0.218  0.218  0.436
Cs  0.218  0.436  0.218
Cs  0.218  0.782  0.000
Cs  0.436  0.218  0.218
Cs  0.500  0.000  0.500
Cs  0.500  0.500  0.000
Cs  0.564  0.782  0.782
Cs  0.782  0.000  0.218
Cs  0.782  0.218  0.000
Cs  0.782  0.564  0.782
Cs  0.782  0.782  0.564
K  0.000  0.000  0.000
O  0.000  0.243  0.243
O  0.000  0.757  0.757
O  0.243  0.000  0.243
O  0.243  0.243  0.000
O  0.757  0.000  0.757
O  0.757  0.757  0.000

***

3.
This entry pairs a crystal structure of MnOs2W with its calculated X-ray powder pattern. Radiation: CuKα. Structure: a DFT-relaxed cell (PBE, Alexandria).
Lines closer than 0.1° are merged.

Largest 6 diffraction maxima, most intense first, 2θ = 5–70°:
2.220 Å, 2θ = 40.64°, rel. 100.0
1.917 Å, 2θ = 47.43°, rel. 32.2
1.361 Å, 2θ = 68.98°, rel. 21.0
1.934 Å, 2θ = 46.98°, rel. 16.5
3.435 Å, 2θ = 25.94°, rel. 14.5
1.355 Å, 2θ = 69.33°, rel. 10.4

Cell and atoms:
Unit cell a=4.723 b=4.723 c=4.723 alpha=132.12 beta=132.12 gamma=70.05
Atoms (fractional coordinates):
Mn  0.000  0.000  0.000
Os  0.250  0.750  0.500
Os  0.500  0.500  0.000
W  0.750  0.250  0.500

***

4.
This entry pairs a crystal structure of BeAl2B with its calculated X-ray powder pattern. Radiation: CuKα. Structure: a DFT-relaxed cell (PBE, Alexandria).
Lines closer than 0.1° are merged.

Largest 6 diffraction maxima, most intense first, 2θ = 5–70°:
10.679 Å, 2θ = 8.28°, rel. 100.0
1.827 Å, 2θ = 49.91°, rel. 69.3
2.666 Å, 2θ = 33.62°, rel. 66.9
2.833 Å, 2θ = 31.58°, rel. 64.8
2.136 Å, 2θ = 42.32°, rel. 55.1
____________
**So much for the materials data**
Scott was also the deputy superintendent of the Department of Indian Affairs in the early 20th century. On his watch, the federal government ruthlessly repressed Indigenous cultural activities such as sun dances and potlatches, even as it tightened the legal restrictions on First Nations people living on reserves, preventing them from leaving the reserves without government permission. Scott was also relentless in pushing the residential school system, leading to the catastrophes described by the Truth and Reconciliation Commission on residential schools. Writing about Scott’s poetry, literary critics such as Northrop Frye pointed out the irony of Scott lamenting the declines and deaths of Indigenous people when his own bureaucratic work was actively contributing to it.
I was reminded of all this when I attended one of the tea and talking circle sessions set up at St. Albert Place by Leo Jacobs and Shelly Markowski, who are participating in St. Albert’s efforts at promoting reconciliation with Indigenous people. One of the other participants at the session was a woman named Hazel, an Anishinaabe woman from the lands of Treaty One, which covers part of southern Manitoba. Hazel recounted how many Indigenous people have called St. Albert home and how they supported each other. I was reminded of my own research for the Musée Héritage Museum into St. Albert’s origins, namely how St. Albert was originally founded as a Metis farming colony where they could learn to farm and adjust to the decline of the buffalo herds.
_Calculated crystals from another source follow_
Entry 1:
Computed X-ray powder pattern of PmScCu for copper Kα, from the PBE geometry in OQMD.

Structural model:
Lattice parameters (Å, degrees): 6.701 6.701 6.701 90.00 90.00 90.00
Space group F-43m (No. 216)
Inequivalent atoms, fractional coordinates:
Pm 0.000 0.000 0.000
Sc 0.000 0.000 0.500
Cu 0.250 0.250 0.250

Most intense lines, 15 to 90 degrees two-theta, by intensity:
hkl 2 2 0, 37.98°, I = 100; hkl 1 1 1, 22.99°, I = 54; hkl 4 2 2, 68.61°, I = 33; hkl 2 0 0, 26.60°, I = 29; hkl 3 1 1, 44.86°, I = 28; hkl 4 0 0, 54.80°, I = 17; hkl 3 3 1, 60.19°, I = 12; hkl 4 2 0, 61.93°, I = 11


Entry 2:
Computed X-ray powder pattern of PmZn2Cu for copper Kα, from the PBE geometry in OQMD.

Structural model:
Lattice parameters (Å, degrees): 4.299 9.693 7.036 90.00 90.00 90.00
Space group Cmcm (No. 63)
Inequivalent atoms, fractional coordinates:
Pm 0.000 0.076 0.250
Zn 0.000 0.362 0.059
Cu 0.000 0.216 0.750

Most intense lines, 15 to 90 degrees two-theta, by intensity:
hkl 1 1 2, 34.21°, I = 100; hkl 1 3 1, 37.08°, I = 100; hkl 2 0 0, 42.03°, I = 40; hkl 0 4 1, 39.33°, I = 32; hkl 0 2 3, 42.84°, I = 28; hkl 2 4 1, 58.91°, I = 19; hkl 2 2 3, 61.57°, I = 18; hkl 1 7 0, 71.59°, I = 15


Entry 3:
Computed X-ray powder pattern of Pr2Cu17 for copper Kα, from the PBE geometry in OQMD.

Structural model:
Lattice parameters (Å, degrees): 8.5684 8.5684 12.5249 90.00 90.00 120.00
Space group R-3m (No. 166, hexagonal axes)
Inequivalent atoms, fractional coordinates:
Pr 0.0000 0.0000 0.1565
Cu 0.0000 0.0000 0.4027
Cu 0.0000 0.2914 0.5000
Cu 0.0000 0.5000 0.0000
Cu 0.0031 0.5015 0.3457

Most intense lines, 15 to 90 degrees two-theta, by intensity:
hkl 3 0 3, 42.48°, I = 100; hkl 2 2 0, 42.19°, I = 64; hkl 0 0 6, 43.33°, I = 50; hkl 3 0 0, 36.32°, I = 39; hkl 2 2 3, 47.72°, I = 33; hkl 0 2 4, 37.59°, I = 30; hkl 1 1 3, 29.88°, I = 28; hkl 2 2 6, 62.07°, I = 26


Entry 4:
Computed X-ray powder pattern of Pr4CuPt3 for copper Kα, from the PBE geometry in OQMD.

Structural model:
Lattice parameters (Å, degrees): 5.799 4.614 7.470 90.00 90.25 90.00
Space group Pm (No. 6)
Inequivalent atoms, fractional coordinates:
Pr 0.000 0.000 0.000
Pr 0.222 0.000 0.496
Pr 0.492 0.500 0.869
Pr 0.722 0.500 0.359
Cu 0.729 0.000 0.643
Pt 0.206 0.500 0.226
Pt 0.516 0.000 0.136
Pt 0.989 0.500 0.717

Most intense lines, 15 to 90 degrees two-theta, by intensity:
hkl 1 1 -2, 34.55°, I = 100; hkl 2 1 1, 38.61°, I = 95; hkl 0 1 2, 30.80°, I = 77; hkl 2 0 -1, 33.12°, I = 51; hkl 0 2 0, 39.04°, I = 49; hkl 2 2 -1, 52.11°, I = 28; hkl 1 1 1, 27.46°, I = 26; hkl 1 0 1, 19.39°, I = 25


Entry 5:
Computed X-ray powder pattern of Pr2CuSi4Pt for copper Kα, from the PBE geometry in OQMD.

Structural model:
Lattice parameters (Å, degrees): 4.170 4.275 16.917 90.00 90.00 90.00
Space group Amm2 (No. 38)
Inequivalent atoms, fractional coordinates:
Pr 0.000 0.000 0.000
Pr 0.500 0.000 0.208
Cu 0.000 0.000 0.776
Si 0.000 0.000 0.347
Si 0.000 0.000 0.636
Si 0.500 0.000 0.563
Si 0.500 0.000 0.850
Thinking about Hazel’s stories, and the stories shared by Leo and Shelly, I’ve noticed how St. Albert shows how the myth of the vanishing Indian is just that, a myth. Indigenous people and their cultures are just assumed to be relics of the past, and once they disappear we don’t need to think about them anymore. How many residents know about our community’s Indigenous roots, or how many Indigenous people call the city home?
It’s the same thing across Canada — people believe that Indigenous issues don’t matter anymore and they should just assimilate. Never mind that it does directly affect us — the Canadian Crown is a signatory to the treaties that set out our legal rights to live here, and are enshrined in the Constitution. More generally, Indigenous people are our neighbours, coworkers and fellow citizens, and they aren’t going anywhere anytime soon.The sooner we dump the myth of the ‘vanishing Indian’ and actually try to understand the Indigenous point of view, the better off we’ll be.
Jared Milne is a St. Albert resident with a passion for Canadian history and politics.